Request:
Next, find the line below that holds "(0.9409, 0.9306,", then quote that line and all lines after it there.

Input:
........
(1)
# Ti3ZnN

A relaxed Ti3ZnN crystal (PBE, the Alexandria database).

Lattice parameters (Å, degrees): 5.0408 5.5500 5.7426 121.15 90.00 90.00
Last column: nearest neighbours and their distance in Å.
Fractional positions:
Zn (0.9412, 0.6582, 0.7868)  2 Zn 2.61, 6 Ti 2.62-2.78
Zn (0.4412, 0.5194, 0.7174)  2 Zn 2.61, 6 Ti 2.62-2.78
Ti (0.1909, 0.5886, 0.3517)  2 N 2.13
Ti (0.6275, 0.9871, 0.7101)  2 N 2.08-2.19
Ti (0.7545, 0.1904, 0.3117)  2 N 2.08-2.19
Ti (0.2546, 0.9870, 0.1924)  2 N 2.08-2.19
Ti (0.1275, 0.1904, 0.7940)  2 N 2.08-2.19
Ti (0.6909, 0.5887, 0.1525)  2 N 2.13
N (0.4409, 0.2468, 0.0811)  6 Ti 2.08-2.19
N (0.9409, 0.9306, 0.4230)  6 Ti 2.08-2.19

Output
For the formation energy from raw total energies, the calculation gives -327 kJ/mol of formula units. As for the crystal system: orthorhombic. The energy above the most stable polymorph in this dataset comes out at 21.3 kJ per mole of atoms.


(2)
# LiAs2Pd

A relaxed LiAs2Pd crystal (PBE, the Alexandria database).

Lattice parameters (Å, degrees): 7.6228 7.6228 5.9692 50.32 50.32 90.00
Last column: nearest neighbours and their distance in Å.
Fractional positions:
As (0.6759, 0.1250, 0.2500)  2 Pd 2.52, 2 As 2.68
As (0.0741, 0.6250, 0.2500)  2 Pd 2.52, 2 As 2.68
As (0.3750, 0.3241, 0.7500)  2 Pd 2.52, 2 As 2.68
As (0.8750, 0.9259, 0.7500)  2 Pd 2.52, 2 As 2.68
Pd (0.0000, 0.0000, 0.0000)  4 As 2.52, 2 Li 2.56
Pd (0.7500, 0.2500, 0.5000)  4 As 2.52, 2 Li 2.56
Li (0.5000, 0.5000, 0.0000)  2 Pd 2.56
Li (0.2500, 0.7500, 0.5000)  2 Pd 2.56

Output
As for the crystal system: tetragonal. The energy above the most stable polymorph in this dataset comes out at 15.1 kJ per mole of atoms. As for the calculated formation energy: -0.249 eV/atom.


- Which of these has the highest energy above the most stable polymorph in this dataset?
  Ti3ZnN

* * * * *

No. 1
A plane-wave DFT calculation with PBEsol was carried out for a geometry-optimized Cd2CoRh structure.

Computed properties:
The space group is I-4m2, No. 119. For the density of states at the Fermi level, the calculation gives 1.341 states/eV per atom. The energy of formation from the pure elements comes out at 197 meV/atom.

Cell lengths 3.9720, 3.9720, 4.8000 Å; angles 114.44, 114.44, 90.00 degrees
Last column: nearest neighbours and their distance in Å.
Sites, in units of the cell vectors:
Co (0.5000, 0.5000, 0.0000)  8 Cd 2.78-2.81, 4 Rh 2.78
Rh (0.2500, 0.7500, 0.5000)  8 Cd 2.78-2.81, 4 Co 2.78
Cd (0.0000, 0.0000, 0.0000)  4 Cd 2.78, 4 Rh 2.78, 4 Co 2.81
Cd (0.7500, 0.2500, 0.5000)  4 Cd 2.78, 4 Co 2.78, 4 Rh 2.81



No. 2
A plane-wave DFT calculation with PBEsol was carried out for a geometry-optimized Ca2TaIr structure.

Computed properties:
The space group is P4mm, No. 99. For the density of states at the Fermi level, the calculation gives 0.979 states/eV per atom. The energy of formation from the pure elements comes out at -56 meV/atom.

Cell lengths 3.3824, 3.3824, 8.9598 Å; angles 90.00, 89.97, 90.00 degrees
Last column: nearest neighbours and their distance in Å.
Sites, in units of the cell vectors:
Ca (0.9994, 0.0000, 0.9424)  4 Ca 3.38, 4 Ta 3.39, 1 Ir 3.40
Ca (0.5005, 0.5000, 0.3205)  1 Ta 3.16, 4 Ir 3.23, 4 Ca 3.38
Ir (0.0002, 0.0000, 0.5634)  4 Ta 2.59
Ta (0.5000, 0.5000, 0.6737)  4 Ir 2.59



No. 3
A plane-wave DFT calculation with PBEsol was carried out for a geometry-optimized Y3Zr structure.

Computed properties:
The space group is Imm2, No. 44. For the density of states at the Fermi level, the calculation gives 1.813 states/eV per atom. The energy of formation from the pure elements comes out at 88 meV/atom.

Cell lengths 3.4555, 6.0310, 6.4382 Å; angles 117.93, 105.57, 90.00 degrees
Last column: nearest neighbours and their distance in Å.
Sites, in units of the cell vectors:
Y (0.2585, 0.2603, 0.5171)  3 Zr 3.30-3.44, 9 Y 3.34-3.48
Y (0.5000, 0.1582, 0.0000)  8 Y 3.34-3.46, 4 Zr 3.40-3.55
Y (0.7415, 0.7432, 0.4829)  3 Zr 3.30-3.44, 9 Y 3.34-3.48
........

Solution:
N (0.9409, 0.9306, 0.4230)  6 Ti 2.08-2.19

Output
For the formation energy from raw total energies, the calculation gives -327 kJ/mol of formula units. As for the crystal system: orthorhombic. The energy above the most stable polymorph in this dataset comes out at 21.3 kJ per mole of atoms.


(2)
# LiAs2Pd

A relaxed LiAs2Pd crystal (PBE, the Alexandria database).

Lattice parameters (Å, degrees): 7.6228 7.6228 5.9692 50.32 50.32 90.00
Last column: nearest neighbours and their distance in Å.
Fractional positions:
As (0.6759, 0.1250, 0.2500)  2 Pd 2.52, 2 As 2.68
As (0.0741, 0.6250, 0.2500)  2 Pd 2.52, 2 As 2.68
As (0.3750, 0.3241, 0.7500)  2 Pd 2.52, 2 As 2.68
As (0.8750, 0.9259, 0.7500)  2 Pd 2.52, 2 As 2.68
Pd (0.0000, 0.0000, 0.0000)  4 As 2.52, 2 Li 2.56
Pd (0.7500, 0.2500, 0.5000)  4 As 2.52, 2 Li 2.56
Li (0.5000, 0.5000, 0.0000)  2 Pd 2.56
Li (0.2500, 0.7500, 0.5000)  2 Pd 2.56

Output
As for the crystal system: tetragonal. The energy above the most stable polymorph in this dataset comes out at 15.1 kJ per mole of atoms. As for the calculated formation energy: -0.249 eV/atom.


- Which of these has the highest energy above the most stable polymorph in this dataset?
  Ti3ZnN

* * * * *

No. 1
A plane-wave DFT calculation with PBEsol was carried out for a geometry-optimized Cd2CoRh structure.

Computed properties:
The space group is I-4m2, No. 119. For the density of states at the Fermi level, the calculation gives 1.341 states/eV per atom. The energy of formation from the pure elements comes out at 197 meV/atom.

Cell lengths 3.9720, 3.9720, 4.8000 Å; angles 114.44, 114.44, 90.00 degrees
Last column: nearest neighbours and their distance in Å.
Sites, in units of the cell vectors:
Co (0.5000, 0.5000, 0.0000)  8 Cd 2.78-2.81, 4 Rh 2.78
Rh (0.2500, 0.7500, 0.5000)  8 Cd 2.78-2.81, 4 Co 2.78
Cd (0.0000, 0.0000, 0.0000)  4 Cd 2.78, 4 Rh 2.78, 4 Co 2.81
Cd (0.7500, 0.2500, 0.5000)  4 Cd 2.78, 4 Co 2.78, 4 Rh 2.81



No. 2
A plane-wave DFT calculation with PBEsol was carried out for a geometry-optimized Ca2TaIr structure.

Computed properties:
The space group is P4mm, No. 99. For the density of states at the Fermi level, the calculation gives 0.979 states/eV per atom. The energy of formation from the pure elements comes out at -56 meV/atom.

Cell lengths 3.3824, 3.3824, 8.9598 Å; angles 90.00, 89.97, 90.00 degrees
Last column: nearest neighbours and their distance in Å.
Sites, in units of the cell vectors:
Ca (0.9994, 0.0000, 0.9424)  4 Ca 3.38, 4 Ta 3.39, 1 Ir 3.40
Ca (0.5005, 0.5000, 0.3205)  1 Ta 3.16, 4 Ir 3.23, 4 Ca 3.38
Ir (0.0002, 0.0000, 0.5634)  4 Ta 2.59
Ta (0.5000, 0.5000, 0.6737)  4 Ir 2.59



No. 3
A plane-wave DFT calculation with PBEsol was carried out for a geometry-optimized Y3Zr structure.

Computed properties:
The space group is Imm2, No. 44. For the density of states at the Fermi level, the calculation gives 1.813 states/eV per atom. The energy of formation from the pure elements comes out at 88 meV/atom.

Cell lengths 3.4555, 6.0310, 6.4382 Å; angles 117.93, 105.57, 90.00 degrees
Last column: nearest neighbours and their distance in Å.
Sites, in units of the cell vectors:
Y (0.2585, 0.2603, 0.5171)  3 Zr 3.30-3.44, 9 Y 3.34-3.48
Y (0.5000, 0.1582, 0.0000)  8 Y 3.34-3.46, 4 Zr 3.40-3.55
Y (0.7415, 0.7432, 0.4829)  3 Zr 3.30-3.44, 9 Y 3.34-3.48